Title: VOMS from a to z
1VOMS from a to z
3(No Transcript)
4Review on LCG-2 (2)
host cert(long life)
crl update
user cert(long life)
proxy cert(short life)
authentication info
5VOMS Workflow
host cert(long life)
crl update
user cert(long life)
proxy cert(short life)
authz cert(short life)
authentication authorization info
6VOMS Proxy example
bash-2.05a edg-voms-proxy-init --voms
EGEE Invalid configuration filename
/opt/edg/etc/vomses Your identity
Koeroo Enter GRID pass phrase for this
identity Creating temporary proxy
Done /CCH/OCERN/OUGRID/CNlxb2023.cern.ch /CCH
......................................... Done
7VOMS Proxy example (2)
- bash-2.05a openssl x509 -in /tmp/x509up_u539
-noout -text - Certificate
- Data
- Version 3 (0x2)
- Serial Number 321 (0x141)
- Signature Algorithm md5WithRSAEncryption
- Issuer Odutchgrid, Ousers, Onikhef,
CNOscar Koeroo - Validity
- Not Before Oct 26 215955 2004 GMT
- Not After Oct 27 100455 2004 GMT
- Subject Odutchgrid, Ousers, Onikhef,
CNOscar Koeroo, CNproxy - Subject Public Key Info
- Public Key Algorithm rsaEncryption
- RSA Public Key (512 bit)
- Modulus (512 bit)
- 00c4aa17c7b5fecf0a99
2e53da73f6 - 1fefd25f30e21823e1fc
ea88cd3fa2 - da34893dc869b5ba881d
1756cec913 - f880d164864fcdc60b12
... X509v3 extensions
0...0...0...0......0X.V0P.N0L1.0...U. ..dutchgrid1
.0...U. ..U.ers1.0 0...U.ef1.0...U....Oscar
Koeroo...A.K0I.G0E1.0...U....CH1 ..........0"..200
41026220454Z..20041027100454Z0s0q. .....Edd.1c0a0
ityNULL./EGEE .............5II0.D._at_
....1...k. T.m.7Nj...i?....gt........Lb .e.....V.
..fD....lL....s.... .f.N..7..F),O("....JT?...
0.6 03
8VOMS Server
VOMS server
9VOMS Admin Web Interface
10Site Security with VOMS aware tools
- Current site security mechanisms on LCG-2
- JAVA edg-java-security
- C grid-mapfile LCAS/LCMAPS
- I only know the LCAS/LCMAPS very well so Ill
continue with this - LCAS/LCMAPS can be used for AuthZ and user
mapping functionality in the edg-gatekeeper and
edg-gridFTP - Currently available as LCG software
- edg-gridFTP with LCAS/LCMAPS call-out has been
tested by LCG
11Example CE workflow
Job with proxy
- Local Centre Authorization Service
- Pluggable authorization framework
- grid-mapfile
- Plug-in for VOMS
- AuthZ policy in GACL format (or grid-mapfile)
- Convenience tool to convert grid-mapfile into
GACL format - edg-lcas-voms2gacl
- Ban list
- Other conditions that can be true or false (like
fabric opening times) - Extendable
- Local Credential MAPping Service
- Pluggable identity mapping framework
- Provides local credentials needed for jobs in
fabric - Mapping based on user identity, VO affiliation,
site-local policy - Supports standard UNIX credentials (uid gid,
AFS Tokens) - Poolaccounts Poolgroups
- Fine grained mapping driven by the local site
policy and VOMS-proxy extensions - LDAP user directory update
- The Job Repository is a plug-in that can store
the user, VO and job information, with regards to
its mapping, into a database - Can be used as accounting information base
14VOMS mapping with LCMAPS
- Support for multiple VOs per user (and thus
multiple UNIX groups) - Boundary conditions
- Has to run in privileged mode
- Has to run in process space of incoming
connection (for fork jobs) - Extendable
- The most essential VOMS plug-ins can do
- Parsing of the proxy certificate for VOMS
attributes - Determining how to map a FQAN to a UNIX group
- Described in the groupmapfile
- Plug-ins can look for localgroups poolgroups
- Determining which (VOMS) poolaccount it should
lease for the (set of) FQANs - Described in vomapfile or extended grid-mapfile
15Example groupmapfile
- This groupmapfile handles four VOs
- Note these lines are not FQANs but look and
feel like them
okoeroo_at_asen okoeroo cat /etc/grid-security/gro
upmapfile Example groupmapfile Users with
the exact VO-group info "/VOfred/GROUPfred/ROLE
husband" will be added to the local group
fredje All users from VO wilma will be added
to the allocated pool group "pool1-9""/VOwilm
a/GROUP" .pool For the ITeam
VO"/VOiteam/GROUP/iteam" iteam For the
wpsix VO"/VOWP6/GROUP/WP6" wpsix
16Example extended grid-mapfile
- This extended grid-mapfile contains information
for the VOMS poolaccounting - This mapping will be determined by the first VOMS
attribute that you have in the VOMS proxy
Templon" templon "/Odutchgrid/Ousers/Onikhef/CN
Martijn Steenbakkers" .test "/Odutchgrid/Ousers
/Onikhef/CNOscar Koeroo" okoeroo "/Oedgtutorial
/Ousers/Oedg-tutorial/CNGrid pupil 20"
davidg "/VOfred/GROUP/fred/"
.test "/VOiteam/GROUP/iteam" .test "/VOwilma/GR
OUP/wilma/pebbles" martijn "/VOwilma/GROUP/wilm
a" .test "/VOwpsix/GROUP/wpsix" .test
17Example job-run
- Job run without VOMS (Exec /usr/bin/id a)
- uid1802(ncf002) gid2022(ncf) groups2022(ncf)
- Job with VOMS (Exec /usr/bin/id a)
- With VOMS attributes scenario A
- /VOfred/GROUPfred/ROLEhusband
- With VOMS attributes scenario B
- /VOwilma/GROUPwilma
- /VOwilma/GROUPwilma/ROLEwife
- Or all at once with /VOwilma/GROUPwilma/ROLEwi
fe as first attribute - VOMS Job Results
- A uid4001(test001) gid4001(fredje)
- B uid4002(test002) gid4101(pool001)
groups4102(pool002) - C uid4003(test003) gid4102(pool002)
- LCG will adopt VOMS in 2005
- VOMS LCAS/LCMAPS will continue as part of gLite
- VOMS Parser in JAVA (before only in C())
- Tomcat5 gLite Trust Manager
- Possible multi DN support
- Dynamic Account Service (DAS)
- Provides an account management interface
- Authorization will be based on VOMS credentials
DN - Assignment of poolaccounts through LCMAPS
interface - Su-exec program with call-outs to LCAS LCMAPS
for Apache web servers (Grid Site) - Use a standard configuration format like XACML
- Support for multiple DN per user
19VOMS Cert Dist problems
- The X.509 certificate needs to be installed in
VOMSDIR on disk for each infrastructural machine
that uses VOMS and this needs to be done per VOMS
server - That are a lot of machines
- To solve a vulnerability since VOMS core daemon
version gt 1.6.8 you can create directories with
the name of the VO in the configured VOMSDIR
directory - Example directory
- /etc/grid-security/vomsdir/atlas/kuiken.nikhef.nl.
pem - Though it seems similar to the CA RPMs
distribution and installation, the amount of VOs
on planet Earth will exceed the amount of CAs
thanks to the IGTF ? - VOMS certificates are normal host certificates
that usually expire each year and need
redistribution to keep the server alive and
kicking - Most SysAdmins didnt know that the base64
encoded part is the only thing that OpenSSL is
concerned about and not the humanly readable
decoded part - cat kuiken.nikhef.nl.pem
- openssl x509 in kuiken.nikhef.nl.pem text
- can have a significantly different result!
20VOMS Cert Dist proposed solution
- Lets embed the VOMS Host Certificate in the proxy
per VOMS blob in each user proxy
- In sequence
- Initiate voms-proxy-init voms EGEE
- VOMS Server signs VOMS ACs (as they do now)
VOMS Server host public cert is embeded into
return BLOB - VOMS ACs (plus host cert) will be embedded into
the proxy - User initiates job execution sends proxy to
Gatekeeper (or the any service) - VOMS API receives proxy and extracts the VOMS
Host Cert from proxy - VOMS API runs the host cert through openssl
verify calls (validate Chain, CRL check, and so
on) - VOMS API checks vomses file and authorizes the
VOMS server - VOMS API extracts FQANs and checks if the VOMS
server is authorized to be issuing these FQANs.
21The vomses file/directory
- The vomses file has lines of the format
- EGEE kuiken.nikhef.nl 15001
f.nl EGEE - The vomses file is located usually on a system at
(LCG uses an edg path) - /opt/glite/etc/vomses
- /.glite/vomses
- But the vomses file can also be a directory
- /opt/glite/etc/vomses/thiswouldbethesamefileasIhad
butnowIhavemultiple - /.glite/vomses/justliketheotherlinessays
22Change request for the vomses directory to be
- The simple request to change the vomses directory
into - /opt/edgglite/etc/vomses.d/
- Where all the individual VO lines are described
23VO Naming practice and suggested development
- VO Name Information
- New Global VO Naming convention
- The solution
- What we did for GGF AuthZ workgroup
- The accepted VO Naming statement
- The document highlights
25VO Name Information (1)
- Allowed VO (and group/role name) characters
- a-zA-Z0-9-_\.
- In English
- VO names can start with a number
- VO Names are alphanumeric and can also contain
the characters minus/dash/hyphen, underscore and
dot - The FQAN format is defacto standardized to the
following format - Group(s) part
- /ltVO Namegt /ltgroup 1gt/ltsubgroup Ngt
- Where ltVO Namegt equals the root group which
equals the VO Name - Role part
- /Roleltyour rolegt
- Capability part (deprecated but still available)
- /Capabilityltyour capabilitygt
- An FQAN is a concatenation of the Group(s), Role
and Capability part
26VO Name Information (2)
- VO names should not have a limited length
(including the group and role names) - Examples
- /United-Federation-Of-Planets_Starship.Enterprise.
NGC1701/RoleNULL/CapabilityNULL - 83 characters VO Name (root group) only
- /picard/whatistheexactamountofcharactersthatIcanpu
tees/RoleNULL/CapabilityNULL - 230 characters VO Name and one group
- /picard/whatistheexactamountofcharactersthatIcanpu
ULL - 354 characters VO Name, one group and one role
- /TEST/01234567890123456789012345678901234567890123
45678/RoleNULL/CapabilityNULL - 281 characters VO Name and one group which
combined are a max length - /TEST/01234567890123456789012345678901234567890123
90123456789/CapabilityNULL - 527 characters VO Name and previous displayed
group plus a Role of max length
27VO Name Information (3)
- voms-proxy-info all
- subject /Odutchgrid/Ousers/Onikhef/CNOscar
Koeroo/CNproxy - issuer /Odutchgrid/Ousers/Onikhef/CNOscar
Koeroo - identity /Odutchgrid/Ousers/Onikhef/CNOscar
Koeroo - type proxy
- strength 512 bits
- path /tmp/x509up_u7381
- timeleft 115919
- subject /Odutchgrid/Ousers/Onikhef/CNOscar
Koeroo - issuer /Odutchgrid/Ohosts/OUnikhef.nl/CNk
uiken.nikhef.nl - attribute /TEST/01234567890123456789012345678901
78901234567890123456789/CapabilityNULL - attribute /TEST/blaat/RoleNULL/CapabilityNULL
- attribute /TEST/workshop/RoleNULL/CapabilityNU
LL - attribute /TEST/workshop_with_a_long_or_more_or_
less_huge_name/RoleNULL/CapabilityNULL - attribute /TEST/blaat/test/RoleNULL/Capability
NULL - attribute /TEST/01234567890123456789012345678901
28VO Name Information (4)
- In theory there is no limit to the names
- This MUST be honored in all middleware that uses
FQANs - In reality the VOMS Database itself has a
(practical) limitation to the length originating
from the VOMS DB schema - The Group(s), Role and Capability parts currently
have a database limited length of 255 characters
Formula: C4H10NO
Source: the Open Molecules 2025 dataset
Level of theory: ωB97M-V with the def2-TZVPD basis set

Properties
Frontier orbital gap, Ha: 0.33697
Energy relative to the best compared isomer or geometry (same formula, charge and spin), kcal per mole: 54.9
Energy, Ha: -288.0755
Multiplicity: 1
E_HOMO, eV: -14.60
Charge: +1

Geometry (Å):
C -1.49 0.65 -0.88
C -0.02 0.77 -0.47
C 1.00 0.95 -1.30
C -0.19 0.63 2.06
N 0.32 0.77 0.90
H -1.88 -0.20 -1.44
H -1.64 1.54 -1.45
H -2.00 0.66 0.04
H 2.07 0.78 -1.19
H 0.78 0.96 -2.38
H 0.58 0.66 2.80
H -1.26 0.38 2.33
H 1.25 1.21 0.96
H 1.40 -3.84 0.09
H 0.06 -2.96 -0.07
O 1.04 -2.96 0.01

Löwdin population analysis, charges in e, atoms 1 to 6:
1 C 0.008
2 C -0.318
3 C 0.142
4 C 0.198
5 N 0.060
6 H 0.107


Entry 1:
# C26H50ClF2N6O7

A 5-piece molecular cluster, C26H50ClF2N6O7 overall (the ωB97M-V functional and the def2-TZVPD basis, OMol25).

Calculated values
<S²> = 0.754
HOMO level (spin up / spin down) = -8.7 / -9.0 eV
Max |F| = 6.385 eV Å⁻¹
Frontier orbital gap (spin up / spin down) = 8.2 / 8.4 eV
Multiplicity = 2

Atoms and positions in Å:
C 3.6391 -0.2909 4.2794
C 2.2423 -0.7415 3.5774
C 1.7864 0.2028 2.3777
Cl 2.4275 1.8891 2.8160
C 0.1908 0.1806 1.9939
N 0.2291 0.2433 0.4927
C -0.9957 -0.0576 -0.2255
O -1.1133 -1.1983 -0.7542
F -2.1012 0.8276 -0.4633
C 0.7802 1.4773 -0.0719
O 0.2150 2.5700 -0.2520
F 2.1487 1.4014 -0.5326
C -0.4843 1.4350 2.7376
C -2.0853 1.4545 2.8389
C -2.4694 1.8484 4.3805
C -2.6403 2.7213 1.9613
N -2.8048 0.2528 2.3605
O -4.0917 0.2617 2.6101
C -2.1673 -1.0407 2.6972
C -2.5336 -1.5557 4.2058
C -2.8639 -2.1589 1.7208
C -0.5779 -1.1528 2.4273
H 3.4417 0.5157 5.0868
H 4.0113 -1.2148 4.8752
H 4.4401 0.0316 3.5255
H 2.3953 -1.8496 3.2712
H 1.4398 -0.7275 4.3923
H 2.4151 -0.1143 1.4554
H -0.1039 1.4000 3.8340
H -0.2065 2.4652 2.2849
H -3.5306 2.2649 4.4714
H -2.2106 1.0263 5.1290
H -1.7627 2.7361 4.6302
H -2.0565 2.8835 0.9943
H -2.5388 3.6383 2.6624
H -3.7515 2.6362 1.7138
H -1.8454 -1.1078 5.0056
H -2.2843 -2.6906 4.1849
H -3.6477 -1.4866 4.4400
H -3.8328 -2.4832 2.2618
H -3.1796 -1.7278 0.7119
H -2.2236 -3.1146 1.6357
H -0.2024 -1.6471 3.4071
H -0.3997 -1.9768 1.6318
C 2.3467 -3.7636 0.8578
O 1.2766 -3.3914 1.3099
N 2.8013 -3.5021 -0.3994
C 4.0870 -3.9786 -0.8694
C 1.9723 -2.7218 -1.2979
H 3.0508 -4.3618 1.4577
H 4.7018 -3.1197 -1.1511
H 3.9313 -4.6183 -1.7416
H 4.6024 -4.5489 -0.0949
H 1.7827 -1.7426 -0.8507
H 1.0172 -3.2341 -1.4359
H 2.4648 -2.5954 -2.2631
C 0.2973 5.9044 -0.5065
O -0.1983 6.2683 0.5455
N 0.7285 6.7312 -1.5033
C 1.3089 6.2214 -2.7296
C 0.6018 8.1648 -1.3297
H 0.4389 4.8378 -0.7384
H 2.3257 6.6097 -2.8311
H 0.7044 6.5565 -3.5765
H 1.3419 5.1305 -2.7240
H 1.1612 8.4685 -0.4412
H -0.4518 8.4158 -1.1827
H 0.9863 8.6920 -2.2038
C 1.7719 -6.1783 -2.6224
O 2.7252 -6.9349 -2.5713
N 0.5706 -6.4602 -3.2038
C -0.5190 -5.5051 -3.2245
C 0.3779 -7.7579 -3.8213
H 1.8140 -5.1687 -2.1838
H -1.3818 -5.9374 -2.7113
H -0.7832 -5.2882 -4.2628
H -0.2358 -4.5764 -2.7265
each - Which means 255 -1 characters are possible for a
VO name at maximum because all group FQANs are
prefixed with a slash - No (sub) groups can then be created within such
string - The Role string (without /Role) can be 255
characters - The Capability string (without the
/Capability) can be 255 characters
29VO Name Information (5)
- which means that an FQAN can be
- Groups part 255 characters
- Role part /Role (6) 255 261 chars
- Capability part /Capability (12) 255 267
chars - as large as 255 261 267 783 characters
30New Global VO naming proposal
- The Problem
- No name (space) control
- Name clashes are starting to appear
- first real name clash
- ATLAS vs. USATLAS vs. Swiss Atlas vs. NorduGrid
ATLAS - One VO with different names
- uscms vs. cms
- One VO with different names
- Biomed vs. Bio Italy
- Two VOs same area of work even same prefix
- The Solution
- A hierarchical, extensible VO name space is needed
31The DNS solution
- Less confusion and less mix-ups
- The DNS scheme serves the same kind of purpose
- RFC 1034 Domain names - concepts and facilities
- Section 3.4 - Example name space
- Strong urge to only use 7-bit ASCII characters
- a-zA-Za-zA-Z0-9-\.\.
32Time for GIN?
- The VO Grid Interoperability Now is the first to
be created in the new scheme - gin.ggf.org
33Time for a change?
- The VO Grid Interoperability Now is the first to
be created in the new scheme - gin.ogf.org
34The VO Naming statement
- The VO name is a string, used to represent the
VO in all interactions with grid software, such
as in expressions of policy and access rights.
The VO name MUST be formatted as a subdomain
name as specified in RFC 1034 section 3.5. The
VO Manager of a VO using a thus-formatted name
MUST be entitled to the use of this name, when
interpreted as a name in the Internet Domain Name
System. - This entitlement MUST stem either from a direct
delegation of the corresponding name in the
Domain Name System by an accredited registrar for
the next-higher level subdomain, or from a direct
delegation of the equivalent name in the Domain
Name System by ICANN, or from the consent of the
administrative or operational contact of the
next-higher equivalent subdomain name for that VO
name that itself is registered with such an
accredited registrar. Considering that RFC1034
section 3.5 states that both upper case andÂ
lower case letters are allowed, but no
significance is to be attached to the case, but
that today the software handling VO names may
still be case sensitive, all VO names MUST be
entirely in lower case.
35The document
- The GGF draft document for VO Naming will
contain - An overview on the current EGEE/LCG (and GGF) VO
practices - A summary of the available documents created by
the JSPG regarding the technical implementation
of a VO name and the procedures to run a VO - The proposed VO naming convention
- Its pros and cons
- Middleware implications
- The dos and donts in working with
International Domain Names (IDN) as VO names - Describing a solution to the VOMS Certificates
distribution problem, for instance - Secure DNS
- Or using an other model by only distribute the DN
of the host